fastvpinns.FE.FE2D_Cell module

This module will be used to setup the FE2D and quadrature rule for a given cell based on the given mesh and the degree of the basis functions

Author: Thivin Anandh D

Date: 30/Aug/2023

Materials data, as found in the file:
-- begin --
# PmEuZn2
Simulated X-ray powder pattern, Cu Kα (weighted mean of Kα1 and Kα2). Input: a crystal structure in the Materials Project, relaxed with PBE.
Neutral-atom scattering factors, no anomalous dispersion.

Peak list (10 most intense, 10 to 90 degrees two-theta, low angle first)
(2 0 0), 2θ 24.2, d = 3.682 Å, I 15.2
(2 2 0), 2θ 34.4, d = 2.604 Å, I 100.0
(2 2 2), 2θ 42.5, d = 2.126 Å, I 4.7
(4 0 0), 2θ 49.5, d = 1.841 Å, I 17.7
(4 2 0), 2θ 55.8, d = 1.647 Å, I 6.5
(4 2 2), 2θ 61.7, d = 1.503 Å, I 36.1
(4 4 0), 2θ 72.6, d = 1.302 Å, I 11.0
(6 0 0), 2θ 77.8, d = 1.227 Å, I 3.3
(6 2 0), 2θ 82.9, d = 1.164 Å, I 15.5
(6 2 2), 2θ 88.0, d = 1.110 Å, I 2.1

Structural model:
```
PmEuZn2
1.0
7.3643 0.0000 0.0000
0.0000 7.3643 0.0000
0.0000 0.0000 7.3643
Pm Eu Zn
4 4 8
direct
0.0000 0.0000 0.0000
0.0000 0.5000 0.5000
0.5000 0.0000 0.5000
0.5000 0.5000 0.0000
0.0000 0.0000 0.5000
0.0000 0.5000 0.0000
0.5000 0.0000 0.0000
0.5000 0.5000 0.5000
0.2500 0.2500 0.2500
0.2500 0.2500 0.7500
0.2500 0.7500 0.2500
0.2500 0.7500 0.7500
0.7500 0.2500 0.2500
0.7500 0.2500 0.7500
0.7500 0.7500 0.2500
0.7500 0.7500 0.7500
```

=====

# Na2LiTa
Simulated X-ray powder pattern, Cu Kα (weighted mean of Kα1 and Kα2). Input: a crystal structure in the Materials Project, relaxed with PBE.
Neutral-atom scattering factors, no anomalous dispersion.

Peak list (10 most intense, 10 to 90 degrees two-theta, low angle first)
(1 1 1), 2θ 21.5, d = 4.135 Å, I 100.0
(2 0 0), 2θ 24.9, d = 3.581 Å, I 66.2
(2 2 0), 2θ 35.5, d = 2.532 Å, I 96.4
(3 1 1), 2θ 41.8, d = 2.159 Å, I 54.7
(2 2 2), 2θ 43.8, d = 2.067 Å, I 19.9
(3 3 1), 2θ 56.0, d = 1.643 Å, I 23.8
(4 2 0), 2θ 57.6, d = 1.601 Å, I 26.9
(4 2 2), 2θ 63.7, d = 1.462 Å, I 34.5
(5 1 1), 2θ 68.0, d = 1.378 Å, I 18.0
(5 3 1), 2θ 79.1, d = 1.211 Å, I 18.0

Structural model:
```
Na2LiTa
1.0
7.1616 0.0000 0.0000
0.0000 7.1616 0.0000
0.0000 0.0000 7.1616
Na Li Ta
8 4 4
direct
0.0000 0.0000 0.0000
0.0000 0.5000 0.5000
0.2500 0.2500 0.2500
0.2500 0.7500 0.7500
0.5000 0.0000 0.5000
0.5000 0.5000 0.0000
0.7500 0.2500 0.7500
0.7500 0.7500 0.2500
0.0000 0.0000 0.5000
0.0000 0.5000 0.0000
0.5000 0.0000 0.0000
0.5000 0.5000 0.5000
0.2500 0.2500 0.7500
0.2500 0.7500 0.2500
0.7500 0.2500 0.2500
0.7500 0.7500 0.7500
```

=====

# KHoO3
Simulated X-ray powder pattern, Cu Kα (weighted mean of Kα1 and Kα2). Input: a crystal structure in the Materials Project, relaxed with PBE.
Neutral-atom scattering factors, no anomalous dispersion.

Peak list (10 most intense, 10 to 90 degrees two-theta, low angle first)
(1 0 0), 2θ 20.0, d = 4.448 Å, I 64.5
(1 1 0), 2θ 28.4, d = 3.145 Å, I 100.0
(2 0 0), 2θ 40.6, d = 2.224 Å, I 34.5
(2 1 0), 2θ 45.6, d = 1.989 Å, I 30.7
(2 1 1), 2θ 50.2, d = 1.816 Å, I 41.4
(2 2 0), 2θ 58.7, d = 1.573 Å, I 21.5
(3 0 0), 2θ 62.7, d = 1.483 Å, I 15.0
(3 1 0), 2θ 66.5, d = 1.407 Å, I 17.9
(2 2 2), 2θ 73.8, d = 1.284 Å, I 6.9
(3 2 1), 2θ 80.8, d = 1.189 Å, I 20.9

Structural model:
```
KHoO3
1.0
4.4484 0.0000 0.0000
0.0000 4.4484 0.0000
-- stop --
End of the materials data:

Implementation History : The grad_x_orig and grad_y_orig will actually store the magnitute with which we need to multiply this grad_x_ref and grad_y_ref to obtain the actual values of the gradient in the original cell this is done to improve efficiency

class fastvpinns.FE.FE2D_Cell.FE2D_Cell(cell_coordinates: ndarray, cell_type: str, fe_order: int, fe_type: str, quad_order: int, quad_type: str, fe_transformation_type: str, forcing_function)[source]

Bases: object

This class is used to Store the FE Values, such as Coordinates, Basis Functions, Quadrature Rules, etc. for a given cell.

assign_basis_function() BasisFunction2D[source]

Assigns the basis function class based on the cell type and the FE order.


An instance of the BasisFunction2D class.

assign_basis_values_at_quadrature_points() None[source]

Assigns the basis function values at the quadrature points.

This method calculates the values of the basis functions and their gradients at the quadrature points. The basis function values are stored in self.basis_at_quad, while the gradients are stored in self.basis_gradx_at_quad, self.basis_grady_at_quad, self.basis_gradxy_at_quad, self.basis_gradxx_at_quad, and self.basis_gradyy_at_quad.

The basis function values are of size N_basis_functions x N_quad_points.



assign_fe_transformation() None[source]

Assigns the FE Transformation class based on the cell type and the FE order.

This method assigns the appropriate FE Transformation class based on the cell type and the FE order. It sets the cell coordinates for the FE Transformation and obtains the Jacobian of the transformation.



assign_forcing_term(forcing_function) None[source]

Assigns the forcing function values at the quadrature points.

This function computes the values of the forcing function at the quadrature points and assigns them to the forcing_at_quad attribute of the FE2D_Cell object.


forcing_function (callable) – The forcing function that takes the coordinates (x, y) as input and returns the value of the forcing function at those coordinates.




  • The final shape of forcing_at_quad will be N_shape_functions x 1.

  • This function is for backward compatibility with old code and currently assigns the values as zeros. The actual calculation is performed in the fespace class.

assign_quad_weights_and_jacobian() None[source]

Assigns the quadrature weights and the Jacobian of the transformation.

This method calculates and assigns the quadrature weights and the Jacobian of the transformation for the current cell. The quadrature weights are multiplied by the flattened Jacobian array and stored in the mult attribute of the class.



assign_quadrature() None[source]

Assigns the quadrature points and weights based on the cell type and the quadrature order.



assign_quadrature_coordinates() None[source]

Assigns the actual coordinates of the quadrature points.

This method calculates the actual coordinates of the quadrature points based on the given Xi and Eta values. The Xi and Eta values are obtained from the quad_xi and quad_eta attributes of the class. The calculated coordinates are stored in the quad_actual_coordinates attribute as a NumPy array.

